Activity.
It remains to echo every line underneath that contains the word "merged".

Input.
=====
Simulated powder XRD pattern of MnSb2F for Cu Kα, from the GGA+U geometry in Alexandria.
Intensities are scaled so that the largest is 100.

Cell and atoms:
a b c (Å): 4.2296 4.2296 20.7297
angles (deg): 90.00 90.00 90.00
Space group I-42d (No. 122)
One atom of each set of equivalent atoms:
Mn: 0.0000 0.0000 0.0000
Sb: 0.2403 0.2500 0.1250
F: 0.0000 0.0000 0.5000

Main lines, by intensity (2θ from 15° to 90°):
2θ/deg	d (Å)	I/Imax	(hkl)
31.1	2.874	100	1 1 2
39.9	2.261	51	1 1 6
46.4	1.958	50	2 0 4
17.1	5.182	45	0 0 4
34.6	2.591	30	0 0 8
71.1	1.327	26	1 1 14
53.8	1.704	21	1 1 10
73.1	1.295	15	0 0 16
76.3	1.247	14	3 1 6
70.4	1.338	14	2 0 12

=====

[1]
For Ce2AgHg6, a crystal structure in Alexandria, relaxed with GGA-PBE gives the calculated powder X-ray diffraction pattern in this record (copper Kα).
Lines closer than 0.1° are merged.

Crystal structure
Unit cell a=11.432 b=8.247 c=5.698 alpha=90.00 beta=116.28 gamma=90.00
Space group C2/m (No. 12)
One atom of each set of equivalent atoms:
Ce  0.182  0.000  0.277
Ag  0.000  0.500  0.500
Hg  0.000  0.325  0.000
Hg  0.144  0.187  0.724

Principal peaks in the range 15° ≤ 2θ ≤ 90°, most intense first:
h k l, 2θ/deg, I (rel.)
1 3 -1, 36.3, 100
3 1 0, 28.3, 71
2 2 1, 37.0, 58
2 0 -2, 31.4, 51
4 2 -1, 38.4, 45
2 0 1, 29.7, 36
4 0 -2, 37.1, 35
5 3 -3, 63.2, 22
1 1 -2, 34.0, 21
3 5 0, 62.5, 19



[2]
For CeAgHg5, a crystal structure in Alexandria, relaxed with GGA-PBE gives the calculated powder X-ray diffraction pattern in this record (copper Kα).
Lines closer than 0.1° are merged.

Crystal structure
Unit cell a=4.929 b=4.929 c=7.423 alpha=90.00 beta=90.00 gamma=90.00
Space group P4/mmm (No. 123)
One atom of each set of equivalent atoms:
Ce  0.000  0.000  0.000
Ag  0.000  0.000  0.500
Hg  0.000  0.500  0.289
Hg  0.500  0.500  0.000

Principal peaks in the range 15° ≤ 2θ ≤ 90°, most intense first:
h k l, 2θ/deg, I (rel.)
1 1 2, 35.3, 100
2 0 0, 36.5, 54
3 1 2, 64.9, 35
1 1 1, 28.3, 23
2 2 0, 52.5, 19
2 0 3, 52.4, 14
4 2 0, 88.7, 13
2 0 4, 62.7, 13
1 1 5, 68.7, 11
1 1 0, 25.6, 10



[3]
For Ce5AgHgOs2, a crystal structure in Alexandria, relaxed with GGA-PBE gives the calculated powder X-ray diffraction pattern in this record (copper Kα).
Lines closer than 0.1° are merged.

Crystal structure
Unit cell a=7.804 b=7.804 c=14.965 alpha=90.00 beta=90.00 gamma=90.00
Space group I4/mcm (No. 140)
One atom of each set of equivalent atoms:
Ce  0.000  0.000  0.000
Ce  0.211  0.289  0.123
Ag  0.000  0.500  0.250
Hg  0.000  0.000  0.250
Os  0.119  0.381  0.500

Principal peaks in the range 15° ≤ 2θ ≤ 90°, most intense first:
h k l, 2θ/deg, I (rel.)
2 0 4, 33.2, 100
2 1 3, 31.3, 44
2 2 0, 32.4, 44
2 1 5, 39.7, 27
3 2 1, 42.2, 20
4 2 4, 58.3, 20
3 1 0, 36.4, 20
0 0 8, 48.7, 17
2 2 8, 59.7, 15
5 1 4, 65.9, 13



[4]
For CePaAgHg, a crystal structure in Alexandria, relaxed with GGA-PBE gives the calculated powder X-ray diffraction pattern in this record (copper Kα).
Lines closer than 0.1° are merged.

Crystal structure
Unit cell a=7.449 b=7.449 c=7.449 alpha=90.00 beta=90.00 gamma=90.00
Space group F-43m (No. 216)
One atom of each set of equivalent atoms:
Ce  0.000  0.000  0.000
Pa  0.000  0.000  0.500
Ag  0.250  0.250  0.250
Hg  0.250  0.250  0.750

Principal peaks in the range 15° ≤ 2θ ≤ 90°, most intense first:
h k l, 2θ/deg, I (rel.)
2 2 0, 34.0, 100
4 2 2, 60.9, 38
4 0 0, 48.9, 18
6 2 0, 81.8, 17
4 4 0, 71.7, 12
1 1 1, 20.7, 7
3 1 1, 40.2, 4
3 3 1, 53.6, 2
5 3 1, 75.5, 2
5 1 1, 65.1, 2



[5]
For Ce2ThAg2Hg2, a crystal structure in Alexandria, relaxed with GGA-PBE gives the calculated powder X-ray diffraction pattern in this record (copper Kα).
Lines closer than 0.1° are merged.

Crystal structure
Unit cell a=4.8938 b=4.8938 c=24.7655 alpha=90.00 beta=90.00 gamma=120.00
Space group R-3m (No. 166, hexagonal axes)
=====

Worked solution.
Lines closer than 0.1° are merged.
Lines closer than 0.1° are merged.
Lines closer than 0.1° are merged.
Lines closer than 0.1° are merged.
Lines closer than 0.1° are merged.